The other day I had occasion to be at Austin City Hall. It was about 4:30 in the afternoon and I observed that the Occupy Austin group in the plaza was small and quiet, but the atmosphere was festive. There were colorful signs and banners hung on the walls and steps, and chalked messages on the concrete of the plaza. I was shocked, I admit, that the crowd wasn’t larger.
I walked back through the plaza about 7:30. The atmosphere was a bit different—still festive, but more active. There were people standing by the curb holding signs, encouraging passing drivers to honk their support (which they did, regularly). There was a small, subdued drum circle, and more movement, more milling around. The crowd had probably doubled in size. “Ah,” I thought, “They’ve come from work.” An astute observation on my part, if I do say so myself, because what I’ve read, seen, or heard about the Occupy Wall Street movement is minimal (a first year law school student doesn’t have much time to keep up with current events).
So I began to wonder what was going on. Who are these people, exactly, and what do they want? Who’s in charge? Curious, I started exploring the Occupy Austin website, where I read their General Assembly Minutes from October 2nd. Because it’s in writing, I didn’t get the full benefit of a live GA, where the group uses “the people’s mike” and hand signals to discuss and decide issues.
-- Records of crystals that have nothing to do with the piece --
┌──
1.
Cr3NiP4 | GGA-PBE | relaxed

Cell: 5.336 3.073 5.958 Å, 90.00 90.10 90.00°
Space group Pm (No. 6)
Symmetry-distinct sites (fractional):
Cr  0.000  0.000  0.000 [1 per cell]
Cr  0.015  0.500  0.387 [1 per cell]
Cr  0.500  0.000  0.902 [1 per cell]
Ni  0.513  0.500  0.499 [1 per cell]
P  0.191  0.500  0.758 [1 per cell]
P  0.314  0.000  0.264 [1 per cell]
P  0.700  0.500  0.130 [1 per cell]
P  0.820  0.000  0.631 [1 per cell]

2.
K3Cu2O4 | GGA-PBE | relaxed

Calculated values
- E (MP2020): -0.3565 Ry/atom

Cell: 6.218 9.129 10.985 Å, 90.00 90.00 90.00°
Space group Cmcm (No. 63)
Symmetry-distinct sites (fractional):
K  0.000  0.154  0.070 [8 per cell]
K  0.000  0.194  0.750 [4 per cell]
Cu  0.000  0.438  0.250 [4 per cell]
Cu  0.000  0.500  0.000 [4 per cell]
O  0.203  0.438  0.118 [16 per cell]

3.
YZrSb | GGA-PBE | relaxed

Calculated values
- E (MP2020): -0.5343 Ry/atom

Cell: 4.283 4.283 16.670 Å, 90.00 90.00 90.00°
Space group I4/mmm (No. 139)
Symmetry-distinct sites (fractional):
Y  0.000  0.000  0.177 [4 per cell]
Zr  0.000  0.500  0.000 [4 per cell]
Sb  0.000  0.000  0.367 [4 per cell]

4.
UI4 | GGA-PBE | relaxed

Calculated values
- E (MP2020): -0.3364 Ry/atom
- Magnetic moment: 8.00 μB/cell

Cell: 9.943 16.446 8.179 Å, 90.00 95.42 90.00°
Space group C2/c (No. 15)
Symmetry-distinct sites (fractional):
U  0.000  0.080  0.250 [4 per cell]
I  0.189  0.029  0.557 [8 per cell]
I  0.199  0.207  0.229 [8 per cell]

5.
KEuZrSnO6 | GGA-PBE | relaxed

Calculated values
- E (MP2020): -0.5968 Ry/atom
- Magnetic moment: 24.00 μB/cell

Cell: 8.303 8.303 8.303 Å, 90.00 90.00 90.00°
Space group F-43m (No. 216)
Symmetry-distinct sites (fractional):
K  0.000  0.000  0.000 [4 per cell]
└──
I’m sympathetic to the reasons behind this specific approach (the police won’t allow bullhorns, with which I’m also sympathetic), but it takes a really, really long time to get anywhere. The GA is where facilitators lead the group through decision-making by consensus using hand signals. You may have heard about the GA in Occupy Atlanta where it took 10 minutes to decide to NOT hear respected Civil Rights leader John Lewis speak. How they spend their time is at their discretion, but it took TEN minutes. Some members of the Occupy movement want to actually overthrow the government in its present form. Groovy. It’s gonna take a hellacious long time to make it happen at this rate.
But, back to the Occupy Austin GA. As I continued reading the transcript of the October 2nd GA, it became obvious that the movement consists of many different demographics, which I find hopeful—calling themselves the 99% and then actually striving for that as a reality. Sure, there will be a good percentage of people out there who think the Occupy movement is ludicrous, but calling it a movement of the 93.7% doesn’t sound as good as 99%. Anyway, I was right—many of the participants hold full-time, 40-hour a week jobs (“Wow, you mean they aren’t all drop-outs and slackers who could never hold a job and now that the economy soured and even Starbucks won’t hire them and they don’t know what else to do in the afternoons after they’ve smoked the last of their stash, they decided to just hang out at the plaza and try to make life difficult for those of us who do work and pay taxes like true, God-fearing Americans?”—and yes, I’ve seen all of this and more aimed at the participants in online comments to news articles and blogs).
There’s the “underage” set, teenagers, who have stricter guidelines from the city about when they can assemble and under what conditions, but that’s okay; they’ll have plenty of time to protest at will when they get older. There are folks there with little ones (the community specifically addresses child care issues so adults can march), members of the LGBT community, union and labor, and even slow-foodies who are resisting corporate control by growing their own food. There’s a blog entry on Occupy Austin’s website written in Spanish. Elsewhere in the blogosphere I read of the middle-aged, middle-class white dude who said he was economically “well off” standing next to a leather clad young man who was out of work; they were getting along, communicating and wanting the same fundamental changes to come out of the movement.
Several exchanges during the October 2nd GA had to do with the police. I don’t remember seeing a single officer when I walked through, but I imagine there must have been a few. The facilitators stressed that the group had been given the go-ahead from the city government to assemble in the plaza, with one caveat—no sleeping in the plaza. The group decided to occupy in shifts, so no problem there. Otherwise, the facilitators reminded everyone, the police are public servants looking out for the safety of those in the plaza. Someone in the crowd (and hence the crowd in toto) suggested that everyone should be on the look out for any violence so that it could be dealt with immediately. Someone else warned, a bit more ominously, “There could be provocateurs, government entities, so be aware and put a stop to it.”
Data records that have nothing to do with the article =
Entry from Materials Project: DyLuIr2 after structural relaxation (GGA-PBE).

Lattice parameters (Å, degrees): 4.798 4.798 4.798 60.00 60.00 60.00
Sites, in units of the cell vectors:
Dy (0.000, 0.000, 0.000)
Lu (0.500, 0.500, 0.500)
Ir (0.250, 0.250, 0.250)
Ir (0.750, 0.750, 0.750)

***

Entry from Materials Project: TlSn after structural relaxation (GGA-PBE).

Lattice parameters (Å, degrees): 3.348 3.348 5.291 90.00 90.00 90.00
Sites, in units of the cell vectors:
Tl (0.000, 0.000, 0.000)
Sn (0.500, 0.500, 0.500)

***

Entry from Materials Project: Ba2ErNbO6 after structural relaxation (GGA-PBE).

Lattice parameters (Å, degrees): 6.025 6.025 6.025 60.00 60.00 60.00
Sites, in units of the cell vectors:
Ba (0.250, 0.250, 0.250)
Ba (0.750, 0.750, 0.750)
Er (0.000, 0.000, 0.000)
Nb (0.500, 0.500, 0.500)
O (0.262, 0.262, 0.738)
O (0.262, 0.738, 0.262)
O (0.262, 0.738, 0.738)
O (0.738, 0.262, 0.262)
O (0.738, 0.262, 0.738)
O (0.738, 0.738, 0.262)

***

Calculated formation energy readings, ordered: -0.91, 0.05, -3.48 eV per atom
Uncorrected energy readings, ordered: -7.607, -3.139, -7.887 eV/atom

----------

1.
Computed, not measured: crystalline V2Ni2O7 at its relaxed geometry at the meta-GGA r2SCAN level of DFT.

formation enthalpy at 0 K	-2.07	eV/atom

a = 6.506 Å, b = 8.249 Å, c = 9.322 Å
α = 90.00°, β = 99.80°, γ = 90.00°
Sites, in units of the cell vectors:
V (0.136, 0.239, 0.469)
V (0.136, 0.261, 0.969)
V (0.305, 0.519, 0.688)
V (0.305, 0.981, 0.188)
V (0.695, 0.019, 0.812)
V (0.695, 0.481, 0.312)
V (0.864, 0.739, 0.031)
V (0.864, 0.761, 0.531)
Ni (0.197, 0.613, 0.321)
Ni (0.197, 0.887, 0.821)
Ni (0.354, 0.622, 0.037)
Ni (0.354, 0.878, 0.537)
Ni (0.646, 0.122, 0.463)
Ni (0.646, 0.378, 0.963)
Ni (0.803, 0.113, 0.179)
Ni (0.803, 0.387, 0.679)
O (0.076, 0.623, 0.107)
O (0.076, 0.877, 0.607)
O (0.101, 0.132, 0.126)
O (0.101, 0.368, 0.626)
O (0.178, 0.123, 0.848)
O (0.178, 0.377, 0.348)
O (0.244, 0.644, 0.822)
O (0.244, 0.856, 0.322)
O (0.330, 0.632, 0.539)
O (0.330, 0.868, 0.039)
O (0.355, 0.119, 0.506)
O (0.355, 0.381, 0.006)
O (0.469, 0.585, 0.251)
O (0.469, 0.915, 0.751)
O (0.531, 0.085, 0.249)
O (0.531, 0.415, 0.749)
O (0.645, 0.619, 0.994)
O (0.645, 0.881, 0.494)
O (0.670, 0.132, 0.961)
O (0.670, 0.368, 0.461)
O (0.756, 0.144, 0.678)
O (0.756, 0.356, 0.178)
O (0.822, 0.623, 0.652)
O (0.822, 0.877, 0.152)
O (0.899, 0.632, 0.374)
O (0.899, 0.868, 0.874)
O (0.924, 0.123, 0.393)
O (0.924, 0.377, 0.893)

2.
Computed, not measured: crystalline GaMo2C at its relaxed geometry at the meta-GGA r2SCAN level of DFT.

formation enthalpy at 0 K	-0.13	eV/atom

a = 3.048 Å, b = 3.048 Å, c = 13.149 Å
α = 90.00°, β = 90.00°, γ = 120.00°
Sites, in units of the cell vectors:
Ga (0.333, 0.667, 0.250)
Ga (0.667, 0.333, 0.750)
Mo (0.333, 0.667, 0.589)
Mo (0.333, 0.667, 0.911)
Mo (0.667, 0.333, 0.089)
Mo (0.667, 0.333, 0.411)
C (0.000, 0.000, 0.000)
C (0.000, 0.000, 0.500)

3.
The data records stop here =
It appears that the police and the Occupy participants had been on peaceful terms until this Thursday when four people were arrested for not leaving the plaza so it could be pressure-washed. Now, I have a problem with this last bit of the story for two reasons: one, some of the participants were using the corner of the plaza as their own private urinal, in which case, the city has every right to clean the place; but two, the city claimed that it “needed” to clean the chalk off the concrete—say what? Occupy Austin needs to be self-policing of its members or it will continue to have trouble with the city, and deservedly so. The city has a duty to the citizens of the city—100% of us. But…really? What harm is chalk going to do? It can wait until Dec 7th, the self-imposed end to the occupation.
Kristine Baumstark